How Investor Relations Works

Companies typically develop an IR team prior to an initial public offering (IPO). A primary role of an IR representative is to address investor concerns, from the IPO through the various stages of a company’s growth, to help build the company’s image and maximize its share price. IR responsibilities include:

Calculated molecules that have nothing to do with the entry =
'''
Here is 7 unconnected molecules or ions with the total composition C36H90N9O6 in a non-equilibrium geometry from the Open Molecules 2025 dataset. Energies are from the ωB97M-V functional and the def2-TZVPD basis.

```
141
Properties=species:S:1:pos:R:3:lowdin_charge:R:1
C -3.08 1.66 0.12 -0.095
C -3.55 3.10 0.17 -0.265
C -2.46 4.12 -0.23 -0.170
C -2.86 5.28 -1.15 -0.105
C -4.15 5.98 -0.85 -0.189
C -4.75 7.01 -1.48 0.018
N -5.97 7.20 -0.86 0.168
C -6.14 6.31 0.11 -0.274
C -7.31 6.01 0.94 -0.070
C -7.92 4.65 0.50 -0.172
C -7.62 4.27 -0.95 -0.211
C -8.35 3.01 -1.41 -0.181
C -7.57 2.28 -2.50 -0.301
N -6.62 1.31 -1.94 0.011
N -5.01 5.61 0.16 0.196
H -2.57 1.46 -0.82 0.038
H -2.42 1.45 0.96 0.084
H -3.92 0.97 0.21 0.079
H -4.46 3.21 -0.42 0.084
H -3.83 3.31 1.21 0.103
H -1.69 3.58 -0.78 0.111
H -1.97 4.50 0.66 0.118
H -2.07 6.03 -1.12 0.128
H -2.92 4.94 -2.19 0.125
H -4.42 7.60 -2.31 0.140
H -6.67 7.87 -1.12 0.185
H -6.97 5.94 1.98 0.127
H -8.05 6.80 0.90 0.128
H -7.56 3.85 1.15 0.113
H -9.00 4.68 0.65 0.118
H -6.55 4.08 -1.09 0.093
H -7.91 5.10 -1.60 0.122
H -8.48 2.34 -0.55 0.105
H -9.34 3.26 -1.79 0.115
H -7.03 3.02 -3.09 0.058
H -8.26 1.78 -3.18 0.107
H -5.71 1.39 -2.39 -0.063
H -6.49 1.44 -0.95 0.047
H -4.87 4.85 0.80 0.148
C -10.93 2.00 5.40 -0.065
C -9.84 2.99 4.99 -0.433
C -9.97 3.50 3.55 -0.215
O -9.60 2.59 2.54 -0.216
C -10.57 1.60 2.23 -0.091
N -8.53 2.39 5.26 0.042
H -10.73 1.00 5.02 0.067
H -10.96 1.92 6.49 0.080
H -11.91 2.32 5.06 0.080
H -9.94 3.87 5.63 0.136
H -9.29 4.35 3.44 0.110
H -10.99 3.88 3.36 0.124
H -11.58 2.00 2.29 0.094
H -10.49 0.73 2.88 0.079
H -10.38 1.27 1.20 0.084
H -7.80 3.09 5.13 0.066
H -8.35 1.68 4.56 0.070
C 0.82 0.17 -1.37 -0.064
C -0.53 -0.53 -1.46 -0.429
C -0.42 -2.05 -1.65 -0.204
O -0.04 -2.47 -2.94 -0.179
C 1.35 -2.39 -3.22 -0.102
N -1.38 0.12 -2.47 0.034
H 1.28 0.31 -2.35 0.068
H 0.70 1.16 -0.94 0.069
H 1.52 -0.39 -0.75 0.057
H -1.04 -0.38 -0.51 0.122
H -1.41 -2.48 -1.49 0.124
H 0.25 -2.48 -0.89 0.123
H 1.95 -2.62 -2.34 0.072
H 1.63 -1.41 -3.60 0.076
H 1.56 -3.13 -4.00 0.090
H -2.30 -0.30 -2.40 0.061
H -1.06 -0.14 -3.40 0.079
C 3.81 -2.56 1.21 -0.065
C 4.54 -2.52 -0.13 -0.428
C 6.07 -2.48 -0.02 -0.209
O 6.61 -1.24 0.38 -0.187
C 6.57 -0.97 1.77 -0.101
N 4.01 -1.41 -0.93 0.043
H 3.77 -1.58 1.67 0.065
H 2.79 -2.90 1.06 0.069
H 4.30 -3.25 1.91 0.081
H 4.30 -3.45 -0.66 0.134
H 6.48 -2.66 -1.02 0.124
H 6.44 -3.28 0.64 0.122
H 6.75 -1.88 2.35 0.091
H 5.63 -0.51 2.07 0.075
H 7.37 -0.27 1.98 0.079
H 4.40 -1.46 -1.87 0.080
H 4.39 -0.55 -0.54 0.078
C -6.06 2.31 -5.04 -0.058
C -4.62 2.00 -4.64 -0.374
C -3.79 1.30 -5.72 -0.203
O -4.09 -0.07 -5.89 -0.182
C -5.23 -0.36 -6.68 -0.096
N -4.62 1.26 -3.38 0.041
H -6.69 1.43 -4.97 0.079
H -6.48 3.06 -4.37 0.041
H -6.12 2.69 -6.06 0.091
H -4.12 2.96 -4.46 0.137
H -2.74 1.33 -5.41 0.121
H -3.86 1.83 -6.68 0.126
H -5.33 0.35 -7.51 0.093
H -6.14 -0.36 -6.09 0.078
H -5.09 -1.36 -7.09 0.092
H -3.66 1.16 -3.05 0.069
H -4.91 0.31 -3.59 0.111
C 12.28 -1.80 0.95 -0.067
'''

Represent the company at investor presentations and meetings, as well as with mediaProvide information on company performance in a timely fashionProvide non-financial information that addresses investor questions regarding corporate governance and overall missionProvide regular reporting to the board of directorsCommunicate investor concerns to company executivesProvide a fair business valuation for the companyCollect, report, and address questions and feedback from investorsInstill and inspire investor confidence in the long-term future of the company despite any negative news that might occur

In general, IR departments communicate with the investing community through a variety of means, including social media, press releases, conference calls, roadshows, and websites. Because the IR team interacts with a number of departments within a company, it must have clear lines of communication with each. This includes the CEO, chief financial officer, public relations department, and various product divisions. While IR is a different department than media relations (IR focuses on the investing universe, not the general public), the two may work together for news releases. For example, when Peloton announced in February 2022 that co-founder John Foley would step down as CEO, a position he has held since the company was formed, the company’s IR team was the first point of contact listed in the company’s press release, and the release was posted in the IR section of the Peloton website.

Notable Happenings

Instilling investor confidence in the long-term future of a company with correct, accurate, and complete information about the company, is a primary function of IR teams. That role became significantly more important with the passing of the Public Company Accounting Reform and Investor Protection Act of 2002 (PCARIPA). They are held accountable for it given the high stakes associated with it. Corporate scandals that occurred over the past two decades, including the collapse of Enron, Corp. in the early 2000s, led lawmakers to institute more stringent oversight and financial reporting requirements via the Public Company Accounting Reform and Investor Protection Act of 2002. The legislation strengthened the independence and financial literacy of corporate boards while also holding the CEO and CFO responsible for the accuracy of the information conveyed and communicated to investors via the IR team. The Sarbanes-Oxley Act increased the importance of investor relations. IR practitioners must be knowledgeable of legal requirements and help management meet these requirements.

What It Means for Individual Investors

An IR team helps you become more informed about key areas such as big changes that may affect stock prices and quarterly financial reports. Because IR departments have become more important over the years, individual investors who are researching investment opportunities should be able to easily access information on a company’s past performance, future plans for growth, and responses to any corporate events that made headlines. Getting more information is usually better when making investment decisions. IR teams make that possible.